February 21-28, 2016
Miles to Date: 0
Sundays are the Best Days
Surprisingly, the day we left on on our journey was in fact a day of rest for us. Days of planning and packing were over and all that was left to do was crank the engine and roll the wheels. The first leg of the trip, we took Hwy 80 and went up and over the Sierra Nevada Mountains. Snow and fresh chilled air welcomed us at every gas stop as we continued through the state of Nevada.

BusyGirl leisurely caught up on some of her school work (She missed a few days while she attended the MyCity Youth Conference) and I worked putting the final touches on our workshop presentations. This convention season we are excited to deliver the notes to attendees via email within minutes. I’m able to include links and resources that are quite helpful. Gotta love technology for easily sharing information. Forrest drummed on the steering wheel listening to one of his favorite bands, Third Day.
We rolled into Idaho Falls late and plopped into bed at the Driftwood Inn Best Western. I think it was the first full nights rest this month.
Idaho Falls is beautiful! Just outside the hotel there’s a three mile loop around the falls. I promised our Medi-Share representative, who cares a lot about our family’s health, that we would exercise often on the road. So we took advantage of the beautiful setting. When it’s 28 degrees outside, our walking pace is pretty snappy.

+++
1.
C28H28AsBINO3PRuS5 as an isolated structure. Source: the OMol25 dataset; level of theory: ωB97M-V/def2-TZVPD.

**Electronic energy**: -172787.7192 eV
**Total charge**: -2
**Orbital gap (alpha / beta)**: 5.105 / 5.946 eV
**HOMO level (alpha / beta)**: -1.5 / -2.4 eV
**Spin multiplicity**: 6

Positions of all 70 atoms, in Å:
I -0.99841 -5.49223 -3.59613
Ru 0.53866 1.44447 -1.08108
As 2.15564 3.95804 -0.81506
S -0.83041 3.35567 0.07573
S 3.48858 4.41899 -2.48053
S 0.02650 3.91695 -1.74445
S 2.70264 5.97258 -0.23666
S -1.50884 -1.63987 1.02664
P 1.57323 0.51508 0.96582
O 1.47337 1.13254 -2.95810
O -1.25526 -2.98981 0.45847
O 2.15444 0.61162 -5.01132
N -1.30979 0.36827 -1.77634
C 1.01081 -1.06597 -3.82487
C -3.45310 0.24158 0.61997
C 0.57337 -0.37749 4.87719
C 4.19839 1.26547 0.47384
C 3.12419 1.39019 1.35496
C -0.78278 1.46831 4.16699
C -3.99991 -2.01902 -0.05443
C 0.22892 -2.94918 -2.51917
C -1.96982 -1.95806 2.74971
C 5.32228 2.06152 0.61872
C -4.70530 0.66240 0.20613
C 0.66872 -1.74956 -4.98725
C 5.38715 2.99455 1.64369
C 0.78791 -1.68330 -2.60356
C -0.39794 0.57367 5.15451
C -0.10975 -3.59800 -3.69297
C 0.77472 0.46278 2.61962
C -5.60419 -0.25162 -0.32810
C 4.32317 3.12491 2.52139
C 1.59578 0.33600 -3.95657
C -2.04374 -0.10734 -2.53316
C -5.24952 -1.58394 -0.46971
C 1.15535 -0.43184 3.61910
C -3.13126 -1.10122 0.50850
C 3.19743 2.32893 2.37973
C -0.20112 1.41480 2.90846
C 0.10250 -3.01099 -4.92945
C 2.15749 -1.21102 0.75926
B -3.03767 -0.75185 -3.58506
H -2.26236 -1.02232 3.22427
H -2.52751 -0.62061 -4.67757
H -0.85174 0.61639 6.13733
H 1.02244 -1.14720 -1.69142
H 4.13554 0.59531 -0.37552
H 0.84358 -1.26083 -5.93584
H 1.29604 -1.88182 0.73654
H 1.91430 -1.17731 3.42272
H 0.87917 -1.08284 5.64109
H -0.18956 -3.52276 -5.83707
H -4.09160 -0.15247 -3.51112
H 2.84814 -1.51183 1.54747
H -5.92349 -2.27886 -0.95334
H -2.78634 -2.67810 2.76083
H -3.66910 -3.03856 -0.20254
H 2.66861 -1.29921 -0.19929
H -4.95752 1.71388 0.25289
H -1.53637 2.21806 4.37339
H -2.71236 0.95959 0.95406
H 6.24594 3.64715 1.73184
H 0.01104 -3.39034 -1.55564
H -0.48736 2.12103 2.13791
H 6.12505 1.98587 -0.10301
H -1.08968 -2.36272 3.24360
H 4.34545 3.88245 3.29417
H 2.35668 2.47596 3.04530
H -3.17307 -1.92431 -3.29603
H -6.56634 0.08939 -0.68943

---

2.
A 2-piece molecular cluster, C7H18N3O2S overall at a distorted geometry. Source: the OMol25 dataset; level of theory: ωB97M-V/def2-TZVPD.

**Electronic energy**: -26938.1968 eV
**Total charge**: +1
**Orbital gap (alpha / beta)**: 8.262 / 8.263 eV
**HOMO level (alpha / beta)**: -11.9 / -11.9 eV
**Spin multiplicity**: 1

Positions of all 31 atoms, in Å:
S 2.54317 -1.15684 -1.32745
O 0.82280 -2.03054 0.21643
O 0.31224 1.73024 0.03006
N -1.22860 1.00950 -2.68104
N 1.53640 -0.85775 0.05802
N -0.54637 -1.24114 -2.01946
C 0.13918 0.60503 -0.59624
C 0.35438 -2.34122 1.56789
C -0.70433 2.76630 0.35834
C -0.55620 0.21864 -1.64184
C 1.58279 -2.81101 2.38359
C -0.66750 3.95130 -0.61535
C -0.61502 -1.26103 2.15848
+++
The entry goes on:

We headed north and made a right hand turn when we hit Montana. Love the big skies and red stained buttes. Herds of antelope, white tail deer, and lots of cows kept us company. Forrest and I went through our workshop notes for “Best Curriculum Choice: Your Marriage”. Busygirl had to listen to us work through each point. She sure is getting a heavy dose of marriage education for a 15 year old.

• What comes next are quantum chemistry results, not part of the entry:
........
1.
The following is a DFT calculation (the ωB97M-V functional and the def2-TZVPD basis) of a cluster of 13 separate species, C40H78O27S6 in total.

Net charge: +1
Gap between HOMO and LUMO (alpha / beta), eV: 7.9 / 3.5
2S+1: 2
Expectation value of S²: 0.76

Geometry (Å):
C (-3.616, -2.105, -4.179)
C (-2.272, -1.929, -4.914)
C (-2.363, -0.834, -5.990)
O (-1.121, -0.156, -5.821)
C (-0.563, -0.425, -4.711)
O (0.435, 0.207, -4.272)
O (-1.221, -1.467, -4.121)
H (-4.149, -1.156, -4.227)
H (-3.564, -2.416, -3.135)
H (-4.237, -2.766, -4.783)
H (-1.968, -2.886, -5.339)
H (-3.100, -0.060, -5.774)
H (-2.646, -1.159, -6.991)
C (-7.304, -1.931, 0.082)
C (-6.289, -2.125, 1.219)
C (-4.898, -2.500, 0.849)
O (-4.118, -1.379, 1.170)
C (-4.784, -0.432, 1.702)
O (-4.301, 0.668, 2.012)
O (-6.046, -0.809, 1.752)
H (-7.055, -1.191, -0.679)
H (-8.299, -1.749, 0.490)
H (-7.452, -2.821, -0.530)
H (-6.605, -2.880, 1.939)
H (-4.675, -2.713, -0.196)
H (-4.549, -3.357, 1.426)
C (-0.801, -5.596, 6.420)
C (0.218, -4.444, 6.397)
C (1.209, -4.612, 5.157)
O (1.212, -3.324, 4.724)
C (-0.021, -2.663, 4.995)
O (-0.443, -1.673, 4.504)
O (-0.607, -3.354, 5.951)
H (-1.306, -5.699, 5.460)
H (-1.436, -5.520, 7.303)
H (-0.295, -6.551, 6.563)
H (0.783, -4.152, 7.283)
H (0.850, -5.299, 4.390)
H (2.211, -4.960, 5.404)
C (-1.074, 3.329, -3.228)
C (-1.961, 3.810, -4.313)
C (-1.184, 4.644, -5.393)
O (-1.292, 3.855, -6.588)
C (-2.046, 2.819, -6.350)
O (-2.519, 2.188, -7.302)
O (-2.390, 2.731, -5.032)
H (-0.092, 2.939, -3.498)
H (-1.489, 2.509, -2.643)
H (-0.965, 4.089, -2.454)
H (-2.858, 4.294, -3.926)
H (-0.148, 4.735, -5.068)
H (-1.667, 5.621, -5.422)
C (-4.342, 5.790, 1.051)
C (-3.770, 4.422, 1.624)
C (-3.364, 3.435, 0.531)
O (-2.029, 3.184, 0.813)
C (-1.595, 3.908, 1.794)
O (-0.432, 3.949, 2.163)
O (-2.540, 4.696, 2.290)
H (-5.220, 5.701, 0.412)
H (-3.487, 6.279, 0.585)
H (-4.541, 6.436, 1.906)
H (-4.568, 4.176, 2.325)
H (-3.467, 3.916, -0.441)
H (-3.942, 2.513, 0.468)
C (3.755, -1.339, 3.493)
C (2.821, -0.175, 3.358)
C (2.876, 0.882, 4.408)
O (2.955, 2.079, 3.743)
C (3.204, 1.870, 2.421)
O (3.396, 2.759, 1.620)
O (3.105, 0.540, 2.128)
H (3.633, -2.055, 2.681)
H (3.494, -1.986, 4.330)
H (4.794, -1.105, 3.725)
H (1.805, -0.568, 3.319)
H (3.640, 0.724, 5.169)
H (1.937, 0.770, 4.951)
C (-1.667, -3.863, -1.077)
C (-1.647, -5.084, -0.217)
C (-0.334, -5.332, 0.515)
O (-0.410, -4.913, 1.854)
C (-1.652, -4.712, 2.132)
O (-2.170, -4.415, 3.220)
O (-2.377, -4.814, 0.952)
H (-2.688, -3.492, -0.992)
H (-1.525, -3.970, -2.152)
H (-0.951, -3.102, -0.764)
H (-1.856, -5.942, -0.856)
H (0.532, -4.859, 0.051)
H (-0.244, -6.417, 0.478)
C (0.347, 3.976, 5.269)
S (-0.301, 2.489, 6.036)
O (-1.356, 2.910, 7.068)
C (-1.477, 2.181, 4.668)
H (0.879, 3.864, 4.324)
H (0.931, 4.614, 5.933)
H (-0.519, 4.624, 5.136)
H (-0.891, 2.071, 3.756)
H (-2.176, 2.997, 4.480)
H (-2.155, 1.337, 4.795)
C (4.859, -2.271, -0.139)
S (6.296, -3.273, -0.764)
O (7.166, -2.265, -1.544)
C (7.012, -3.551, 0.895)
H (4.083, -2.976, 0.160)
........
• End of the quantum chemistry results:

We landed in Miles City, Montana which is about one hundred miles from the border of North Dakota. This sleepy little town would be our home for the next two days. We still have some HTHL work to do!
North Dakota here we come!
Bismarck, North Dakota welcomed us with snow flurries that blew sideways against the HTHL van and trailer. We met our host family, the Larsons, a delightful homeschool family who opened their home and hearts to us. How grateful we are to be in a loving home!

The next morning, we arrived early at the North Dakota Homeschool Association Convention. This hard working, joyful leadership team and their children were busily stuffing convention bags with lots of valuable homeschool info. We joined right in! After all, many hands make light work and lots of laughs! We felt at home among this wonderful group. We spent the rest of our time setting up HTHL’s booth and visiting with homeschool vendors, who we haven’t seen in a while.

North Dakota Homeschool Association Convention (Friday and Saturday)
The doors opened, and we fell quickly in love with the North Dakota homeschool families. Their genuine cinnamon warmth and remnants of a Norwegian accent let you know they were the kind of neighborly people who would have your back if the weather got rough.

The first workshop of the morning? Keeping Your “Smart Cookie” Challenged, followed by Finding the Pieces to the Puzzle: Developing a Plan for Your Special Needs Child. It was an honor to spend time with dedicated homeschool moms and dads.

The cutest seven year old little girl came up to our booth and said she enjoyed the “Smart Cookie” workshop. I thanked her for coming and she replied, “I took notes.” I couldn’t help myself… I had to peek! What did this little cutie learn? Here’s the pic.

In the afternoon, Forrest and I joined as a team to spend some time talking about marriage to 100+ attendees. It was great to see so many invest in their marriage.
The following day, Forrest revved some engines with his talk, An Equipment Operator’s Guide to Keeping Your Family Out of the Repair Shop. And I ended the day with one of my favorite workshops to give, Treating Allergies to Writing.

The convention ended, hearts were full! God did a mighty work!
Homeschool state conventions have a special place in our hearts. They create local connections and remain in service to the homeschool community long after the convention is over. Our next convention is the Southeast Great Homeschool Convention in South Carolina. Large conventions serve the homeschool communities in a different way. I’ll talk about their service to the homeschool community in my next post.
Now, you may or may not know this bit of trivia.
It’s a well known fact among homeschool vendors that after the convention comes to a close, we race to make sure our company is NOT the last one to leave the building. It’s a way to keep our sprits up after after two very long days standing on your feet with no breaks. It’s all in good fun. This time, the last two vendors were Heppner’s Legacy and HTHL. We barely beat them by just a few seconds. Since we hadn’t met them before, we introduced ourselves. Nancy, one of the owners, blessed us with an amazing story of God’s faithfulness in their business. We gave hugs and made a dinner date for the next time we meet on the homeschool convention trail.
When we are on the road, one of the highlights for our family is attending different churches all across the USA. This week, we attended Sunday school and worshipped with our host family at their church, Grace Brethren Lutheran Church. Their talented son played the piano beautifully. It was a joy to put a pause on life and thank the Lord and drink up God’s Word with fellow believers.

We enjoyed lunch together at HuHot, the coolest Mongolian BBQ I have ever seen! (We don’t have this chain in California. I’m pretty sure it would do very well among California natives!)

We didn’t want to say goodbye to our host family. In fact we must have said goodbye five times, and then we would continue to talk. Our families just seemed to connect easily. The last three days, we shared laughs, personal trials, and stories of God’s faithfulness in ministry. They invited us back next year, and we do hope the Lord allows.
The HTHL van and trailer made some tracks down Highway 85, and closed the day by watching a South Dakota sunset. The shocker of the whole trip was North Dakota experienced record high temps for February, 72 degrees!

Quantum chemistry results that have nothing to do with the entry:
/*
DFT (ωB97M-V with the def2-TZVPD basis set) results for one molecule with the formula C9H13NO at a distorted geometry.

```
! RIJCOSX wB97M-V def2-TZVPD def2/J DEFGRID3
* xyz 0 1
C 0.78 -0.64 -0.05
C 2.02 -0.65 0.50
C 0.43 -0.30 -1.45
C -1.78 -0.89 0.44
C -0.37 -0.85 0.98
C -1.46 0.10 1.21
C 3.35 -0.19 -0.02
C -0.29 1.01 -1.64
C -2.81 1.93 1.50
N 0.86 -1.10 -2.33
O -1.58 1.27 1.79
H 2.10 -1.03 1.55
H -2.39 -1.30 -0.38
H -0.11 -1.50 1.80
H 3.24 -0.23 -1.10
H 4.17 -0.83 0.23
H 3.44 0.80 0.24
H 0.28 1.70 -1.10
H -0.19 1.12 -2.71
H -1.36 0.98 -1.26
H -2.82 2.33 0.48
*/
The entry goes on:

Thanks for traveling with us! It’s a pleasure to be sharing the journey with you!
Follow our journey on HTHL’s Google Map (Click: HERE)
Catch our vlog on YouTube: On the Road with HTHL Episode Two (Click: HERE)
From Our Home (On the Road) to Yours,